Work order:
Could you return the whole of the data further down word for word?

Given:
<<<
Computed, not measured: a 11-piece molecular cluster, C42H84O34S overall at a distorted geometry, with wB97M-V/def2-TZVPD.

Structure (XYZ):
```
161
Properties=species:S:1:pos:R:3:forces:R:3
C 25.037819 -8.105809 22.042880 -0.6 -1.2 0.1
C 26.169624 -7.423881 22.804300 -0.4 -0.1 -0.9
O 26.055230 -7.890755 24.127693 -0.7 -0.1 1.9
C 26.619790 -7.166696 25.128732 1.1 0.1 -1.8
O 27.233045 -6.153748 24.917338 -0.2 0.4 0.4
O 26.518826 -7.820324 26.250259 -1.3 -1.7 0.3
C 27.097290 -7.299011 27.442894 0.5 -0.3 -0.4
H 24.954495 -9.169560 22.289161 0.6 -0.1 0.0
H 25.062528 -8.076514 20.954149 0.3 0.4 0.0
H 24.038872 -7.796603 22.360636 0.2 0.7 0.0
H 26.030177 -6.347108 22.699444 0.4 0.0 0.4
H 27.174057 -7.726960 22.499919 -0.2 0.2 -0.6
H 28.164922 -7.249531 27.220549 -0.1 1.3 0.4
H 27.063278 -8.041003 28.240616 -0.7 -0.3 -0.3
H 26.477337 -6.446117 27.710212 1.0 0.5 0.3
C 19.592534 -4.256145 25.803855 -0.1 -0.6 0.9
C 19.701704 -2.776519 26.169520 0.7 -0.7 -1.1
O 20.048419 -2.556140 27.541201 0.6 -0.1 0.0
C 19.194430 -2.655466 28.562525 0.1 0.7 -1.3
O 19.536310 -2.408023 29.681036 -0.3 -0.4 0.4
O 17.967709 -2.941467 28.112922 0.0 -0.1 0.4
C 16.938847 -2.870452 29.091799 -0.6 -0.3 0.4
H 18.633633 -4.724439 26.026652 -0.1 0.1 -0.1
H 20.330914 -4.787959 26.412186 0.0 0.1 0.2
H 19.913684 -4.497769 24.791465 -0.4 0.4 -0.2
H 18.898261 -2.135065 25.815522 -0.3 -0.1 0.4
H 20.581421 -2.505036 25.585612 0.2 0.7 0.5
H 17.044359 -3.639847 29.857197 0.2 0.0 -0.1
H 16.018409 -3.070820 28.547136 0.0 0.2 0.0
H 16.914879 -1.905588 29.596079 0.0 0.1 -0.2
C 20.033675 -10.665538 26.506492 0.6 0.0 -0.5
C 19.028401 -10.622340 27.616734 0.4 -0.5 0.3
O 17.680108 -10.505915 27.137934 0.8 0.1 0.1
C 16.793977 -10.350127 28.105086 -1.7 1.8 -1.1
O 16.972052 -10.111987 29.264338 0.3 -0.6 0.4
O 15.593827 -10.254897 27.466260 -0.2 -0.7 0.1
C 14.468827 -9.915603 28.274645 0.5 0.0 1.7
H 19.810891 -11.424916 25.757578 0.1 -0.1 0.1
H 20.998527 -10.858814 26.983160 -0.1 -0.5 0.0
H 20.266782 -9.740174 25.975341 -0.8 0.3 0.1
H 19.343917 -9.845164 28.315415 -0.7 0.2 0.0
H 19.034224 -11.561371 28.173594 0.4 0.0 0.0
H 13.503405 -10.222873 27.885028 0.4 0.2 -0.9
H 14.523976 -8.858182 28.533392 -0.3 0.1 -0.4
H 14.517246 -10.410590 29.248812 0.3 -0.2 -0.1
C 21.770028 -7.702585 27.576688 -0.4 -0.7 -0.4
C 22.935879 -6.826910 28.031450 0.0 -0.3 -0.4
O 23.711368 -7.561466 28.981861 -0.5 -0.4 0.9
C 24.673037 -6.983711 29.693410 0.5 0.6 -0.6
O 24.993957 -5.814433 29.677211 -0.6 -0.2 0.1
O 25.328439 -7.939985 30.322868 -0.8 -1.2 0.9
C 25.966996 -7.747975 31.606485 0.2 0.9 -0.6
H 22.064758 -8.728552 27.347213 0.6 0.2 -0.2
H 21.290053 -7.318163 26.674121 0.4 0.3 -0.1
H 20.910852 -7.882762 28.228708 0.4 0.7 0.7
H 22.573527 -5.869818 28.406262 0.2 0.0 0.2
H 23.663024 -6.668138 27.232763 -0.5 0.3 -0.4
H 25.977804 -8.706184 32.117666 0.4 -0.1 -0.3
H 25.451913 -7.077115 32.292742 -0.2 0.2 -0.4
H 26.933468 -7.324472 31.340627 0.3 -0.3 0.7
C 26.500039 -9.609832 37.404987 -0.3 0.1 0.0
C 27.516220 -9.091127 36.378528 -1.2 -2.4 0.3
O 27.756528 -7.718809 36.511922 1.1 -0.3 0.4
C 27.278189 -6.862439 35.632251 -0.6 1.5 0.5
O 26.487487 -7.075562 34.756416 0.2 -0.3 -0.5
O 27.717603 -5.645115 36.020304 1.1 -1.2 0.1
C 27.434624 -4.531857 35.215707 -1.5 0.7 -0.7
H 25.484977 -9.272302 37.193006 0.0 0.1 0.0
H 26.743110 -9.360550 38.438092 0.2 0.3 -0.1
H 26.483427 -10.701244 37.382147 0.0 0.0 -0.2
H 27.181480 -9.426275 35.394838 -0.2 0.8 -0.2
H 28.376064 -9.747040 36.534651 0.8 1.0 0.1
H 27.225337 -4.808118 34.180626 0.2 -0.1 0.1
H 28.209262 -3.767820 35.246577 0.3 -0.4 0.3
H 26.508232 -4.094019 35.590989 0.1 0.2 -0.1
C 22.347775 -5.782864 31.927853 -0.4 0.1 0.1
C 23.530280 -5.014719 32.480949 0.4 -1.3 -0.1
O 23.094691 -3.683505 32.726790 0.0 -0.1 0.3
C 23.859174 -2.940027 33.524661 -0.6 0.3 0.0
O 24.832618 -3.287751 34.132524 0.2 0.1 -0.2
O 23.269296 -1.739684 33.546545 0.3 -0.4 -0.3
C 23.949223 -0.631277 34.082827 -0.8 1.4 0.7
H 22.399936 -6.868070 32.033663 0.7 0.0 -0.3
>>>

Here it is:
Computed, not measured: a 11-piece molecular cluster, C42H84O34S overall at a distorted geometry, with wB97M-V/def2-TZVPD.

Structure (XYZ):
```
161
Properties=species:S:1:pos:R:3:forces:R:3
C 25.037819 -8.105809 22.042880 -0.6 -1.2 0.1
C 26.169624 -7.423881 22.804300 -0.4 -0.1 -0.9
O 26.055230 -7.890755 24.127693 -0.7 -0.1 1.9
C 26.619790 -7.166696 25.128732 1.1 0.1 -1.8
O 27.233045 -6.153748 24.917338 -0.2 0.4 0.4
O 26.518826 -7.820324 26.250259 -1.3 -1.7 0.3
C 27.097290 -7.299011 27.442894 0.5 -0.3 -0.4
H 24.954495 -9.169560 22.289161 0.6 -0.1 0.0
H 25.062528 -8.076514 20.954149 0.3 0.4 0.0
H 24.038872 -7.796603 22.360636 0.2 0.7 0.0
H 26.030177 -6.347108 22.699444 0.4 0.0 0.4
H 27.174057 -7.726960 22.499919 -0.2 0.2 -0.6
H 28.164922 -7.249531 27.220549 -0.1 1.3 0.4
H 27.063278 -8.041003 28.240616 -0.7 -0.3 -0.3
H 26.477337 -6.446117 27.710212 1.0 0.5 0.3
C 19.592534 -4.256145 25.803855 -0.1 -0.6 0.9
C 19.701704 -2.776519 26.169520 0.7 -0.7 -1.1
O 20.048419 -2.556140 27.541201 0.6 -0.1 0.0
C 19.194430 -2.655466 28.562525 0.1 0.7 -1.3
O 19.536310 -2.408023 29.681036 -0.3 -0.4 0.4
O 17.967709 -2.941467 28.112922 0.0 -0.1 0.4
C 16.938847 -2.870452 29.091799 -0.6 -0.3 0.4
H 18.633633 -4.724439 26.026652 -0.1 0.1 -0.1
H 20.330914 -4.787959 26.412186 0.0 0.1 0.2
H 19.913684 -4.497769 24.791465 -0.4 0.4 -0.2
H 18.898261 -2.135065 25.815522 -0.3 -0.1 0.4
H 20.581421 -2.505036 25.585612 0.2 0.7 0.5
H 17.044359 -3.639847 29.857197 0.2 0.0 -0.1
H 16.018409 -3.070820 28.547136 0.0 0.2 0.0
H 16.914879 -1.905588 29.596079 0.0 0.1 -0.2
C 20.033675 -10.665538 26.506492 0.6 0.0 -0.5
C 19.028401 -10.622340 27.616734 0.4 -0.5 0.3
O 17.680108 -10.505915 27.137934 0.8 0.1 0.1
C 16.793977 -10.350127 28.105086 -1.7 1.8 -1.1
O 16.972052 -10.111987 29.264338 0.3 -0.6 0.4
O 15.593827 -10.254897 27.466260 -0.2 -0.7 0.1
C 14.468827 -9.915603 28.274645 0.5 0.0 1.7
H 19.810891 -11.424916 25.757578 0.1 -0.1 0.1
H 20.998527 -10.858814 26.983160 -0.1 -0.5 0.0
H 20.266782 -9.740174 25.975341 -0.8 0.3 0.1
H 19.343917 -9.845164 28.315415 -0.7 0.2 0.0
H 19.034224 -11.561371 28.173594 0.4 0.0 0.0
H 13.503405 -10.222873 27.885028 0.4 0.2 -0.9
H 14.523976 -8.858182 28.533392 -0.3 0.1 -0.4
H 14.517246 -10.410590 29.248812 0.3 -0.2 -0.1
C 21.770028 -7.702585 27.576688 -0.4 -0.7 -0.4
C 22.935879 -6.826910 28.031450 0.0 -0.3 -0.4
O 23.711368 -7.561466 28.981861 -0.5 -0.4 0.9
C 24.673037 -6.983711 29.693410 0.5 0.6 -0.6
O 24.993957 -5.814433 29.677211 -0.6 -0.2 0.1
O 25.328439 -7.939985 30.322868 -0.8 -1.2 0.9
C 25.966996 -7.747975 31.606485 0.2 0.9 -0.6
H 22.064758 -8.728552 27.347213 0.6 0.2 -0.2
H 21.290053 -7.318163 26.674121 0.4 0.3 -0.1
H 20.910852 -7.882762 28.228708 0.4 0.7 0.7
H 22.573527 -5.869818 28.406262 0.2 0.0 0.2
H 23.663024 -6.668138 27.232763 -0.5 0.3 -0.4
H 25.977804 -8.706184 32.117666 0.4 -0.1 -0.3
H 25.451913 -7.077115 32.292742 -0.2 0.2 -0.4
H 26.933468 -7.324472 31.340627 0.3 -0.3 0.7
C 26.500039 -9.609832 37.404987 -0.3 0.1 0.0
C 27.516220 -9.091127 36.378528 -1.2 -2.4 0.3
O 27.756528 -7.718809 36.511922 1.1 -0.3 0.4
C 27.278189 -6.862439 35.632251 -0.6 1.5 0.5
O 26.487487 -7.075562 34.756416 0.2 -0.3 -0.5
O 27.717603 -5.645115 36.020304 1.1 -1.2 0.1
C 27.434624 -4.531857 35.215707 -1.5 0.7 -0.7
H 25.484977 -9.272302 37.193006 0.0 0.1 0.0
H 26.743110 -9.360550 38.438092 0.2 0.3 -0.1
H 26.483427 -10.701244 37.382147 0.0 0.0 -0.2
H 27.181480 -9.426275 35.394838 -0.2 0.8 -0.2
H 28.376064 -9.747040 36.534651 0.8 1.0 0.1
H 27.225337 -4.808118 34.180626 0.2 -0.1 0.1
H 28.209262 -3.767820 35.246577 0.3 -0.4 0.3
H 26.508232 -4.094019 35.590989 0.1 0.2 -0.1
C 22.347775 -5.782864 31.927853 -0.4 0.1 0.1
C 23.530280 -5.014719 32.480949 0.4 -1.3 -0.1
O 23.094691 -3.683505 32.726790 0.0 -0.1 0.3
C 23.859174 -2.940027 33.524661 -0.6 0.3 0.0
O 24.832618 -3.287751 34.132524 0.2 0.1 -0.2
O 23.269296 -1.739684 33.546545 0.3 -0.4 -0.3
C 23.949223 -0.631277 34.082827 -0.8 1.4 0.7
H 22.399936 -6.868070 32.033663 0.7 0.0 -0.3